The New York Times media beat reporters got beaten badly on the Eason Jordan story — by [gasp] weblogs and cable news — and so how do they react? By catching up their readers on what they missed? Of course not. They react by lashing out at weblogs.
[1]
ORCA calculation (the ωB97M-V functional and the def2-TZVPD basis) on one molecule with the formula C20H21ClN2O2S.

## Properties
SMILES   Cc1ccc2c(Cl)c(C(=O)NC[C@H](c3ccco3)N3CCCC3)sc2c1
DFT total energy   -51514.0125 eV
Energy above the lowest of the compared OMol25 structures with the same formula, charge and spin   34.79 kcal/mol
Highest occupied orbital energy   -0.308 Eh

Structure (ORCA input):
```
! RIJCOSX wB97M-V def2-TZVPD def2/J DEFGRID3
* xyz 0 1
C -7.397 -2.017 -0.315
C -6.279 -1.028 -0.190
C -5.000 -1.439 0.136
C -3.996 -0.488 0.241
C -4.248 0.876 0.024
C -5.544 1.280 -0.304
C -6.535 0.334 -0.406
H -7.540 0.638 -0.659
H -5.743 2.327 -0.470
C -3.067 1.664 0.183
C -1.958 0.939 0.516
C -0.591 1.455 0.722
O -0.282 2.601 0.456
N 0.277 0.562 1.260
H -0.001 -0.402 1.355
C 1.684 0.856 1.354
H 2.099 0.398 2.254
H 1.780 1.941 1.413
C 2.448 0.323 0.122
N 3.858 0.633 0.250
C 4.164 2.063 0.206
C 5.463 2.203 -0.600
H 6.163 2.894 -0.135
H 5.245 2.562 -1.607
C 5.998 0.775 -0.662
H 6.644 0.598 -1.520
H 6.543 0.537 0.251
C 4.714 -0.039 -0.716
H 4.287 -0.018 -1.733
H 4.861 -1.081 -0.424
H 3.352 2.637 -0.258
H 4.293 2.422 1.232
C 2.231 -1.154 0.024
C 1.644 -1.910 -0.948
C 1.684 -3.250 -0.488
C 2.289 -3.205 0.728
O 2.618 -1.942 1.049
H 2.534 -3.970 1.437
H 1.314 -4.116 -0.995
H 1.235 -1.560 -1.873
H 2.005 0.782 -0.787
S -2.326 -0.770 0.638
Cl -3.081 3.357 -0.018
H -4.778 -2.481 0.308
H -8.189 -1.782 0.394
H -7.826 -1.976 -1.316
H -7.048 -3.028 -0.126
*
```

Here is what Löwdin gives for the atomic charges, in e:
1 C -0.050
2 C -0.273
3 C -0.049
4 C -0.454
5 C -0.271
6 C -0.023
7 C -0.039
8 H 0.114
9 H 0.101
10 C -0.631
11 C -0.412
12 C -0.515
13 O 0.039
14 N 0.060
15 H 0.089
16 C -0.111
17 H 0.136
18 H 0.119
19 C -0.243
20 N -0.123
21 C -0.173
22 C -0.165
23 H 0.105
24 H 0.108
25 C -0.171
26 H 0.107
27 H 0.113
28 C -0.187
29 H 0.130
30 H 0.122
31 H 0.120
32 H 0.117
33 C -0.277
34 C -0.018
35 C -0.058
36 C -0.115
37 O 0.054
38 H 0.119
39 H 0.099
40 H 0.113
41 H 0.166
42 S 1.092
43 Cl 0.780
44 H 0.114
45 H 0.084
46 H 0.084
47 H 0.075

=====

[2]
ORCA calculation (the ωB97M-V functional and the def2-TZVPD basis) on one molecule with the formula C20H21F3N2O7S.

## Properties
SMILES   CCN(CC)S(=O)(=O)c1ccc(O)c(C(=O)OCC(=O)Nc2ccc(OC(F)(F)F)cc2)c1
DFT total energy   -57382.5058 eV
Energy above the lowest of the compared OMol25 structures with the same formula, charge and spin   0.00 kcal/mol
Highest occupied orbital energy   -0.331 Eh

Structure (ORCA input):
```
! RIJCOSX wB97M-V def2-TZVPD def2/J DEFGRID3
* xyz 0 1
C -3.026 -2.623 2.785
H -2.397 -2.930 3.617
H -3.830 -1.999 3.164
H -3.455 -3.512 2.331
C -2.191 -1.837 1.779
N -3.006 -1.231 0.752
S -2.511 0.234 0.161
O -1.978 0.983 1.263
O -3.591 0.780 -0.600
C -1.141 -0.104 -0.949
C 0.092 -0.372 -0.410
C 1.184 -0.616 -1.246
C 1.011 -0.574 -2.647
C -0.262 -0.299 -3.166
C -1.325 -0.064 -2.326
H -2.306 0.173 -2.705
H -0.373 -0.265 -4.238
O 2.010 -0.776 -3.501
H 2.842 -0.931 -2.997
C 2.519 -0.865 -0.692
This morning’s story by Katharine Q. Seelye, Jacques Steinberg, and David F. Gallagher — under the headline, “Bloggers as News Media Trophy Hunters” — is another example of the disdain in which many quarters of The Times — not all — hold citizens’ media.
There’s much more, including an observation that the Times reporters cherry-picked quotes from his blog to give a misleading impression of his views, and an open invitation to the Times’ Bill Keller.
UPDATE: Greg Scoblete offers a response to the “salivating morons” line:
Lovelady and the rest of the CJR-set are taking the wrong lesson from Jordan’s demise. The lesson is that many heads are better than one. Distributed intelligence and distributed research trump presumed authority every time. Arguments from authority are no longer enough. “This is CNN” is no longer sufficient. Now you need facts to back up your assertions (and not made up ones, either). . . .
The nasty, ad-hominem push back from Mr. Lovelady simply demonstrates just how out of step he is. This is the argument of an insular clergy: “you do not govern us, we govern ourselves.”
Well, no longer.
I think that’s why they’re so unhappy. Meanwhile, in response to the charge that blogs are “trophy hunters,” Chuck Simmins emails: “We’ve never seen this sort of behavior from Old Media, now, have we?”
Perhaps we should call it Earl Butz’s revenge . . . . But like most bloggers I would have rather seen the videotape made public than see Eason Jordan resign. CNN apparently felt differently.
ANOTHER UPDATE: Don’t miss Tim Blair’s take on the Times article.
MORE: Ed Morrissey has much more, including — as the result of emails back and forth with CJR’s Steve Lovelady — the conclusion that the “salivating morons” quote doesn’t really reflect Lovelady’s view of the blogosphere. Morrissey also observes: “Read the entire New York Times piece. It tends towards a warning to the blogosphere to take care not to go off half-cocked, and that may not be a bad message.”
That’s a good message for everyone, of course, and it’s a message that Eason Jordan should have heeded, too.
These calculated molecules were left in the article by mistake
-- begin --
Entry 1:
Below is HIS2 in the gas phase, with properties calculated with ωB97M-V/def2-TZVPD.

The geometry in XYZ format:
```
4
Properties=species:S:1:pos:R:3:lowdin_charge:R:1
S -1.0336 -0.1795 -0.7525 0.19
S 0.5857 -0.5953 0.5119 -0.31
I 2.4019 0.8795 -0.0161 0.30
H -1.9540 -0.1047 0.2567 -0.19
```

The value obtained for the HOMO-LUMO gap is 7.79 eV. Its calculated total energy is -1094.6619 hartree. As for the net charge: 0. The HOMO energy comes out at -8.80 eV.



Entry 2:
Below is C16H15F3N2O2 in the gas phase in a non-equilibrium geometry, with properties calculated with ωB97M-V/def2-TZVPD.

The geometry in XYZ format:
```
38
Properties=species:S:1:pos:R:3:lowdin_charge:R:1
C 0.0623 4.8306 3.6959 -0.05
C 0.2513 3.4527 3.1400 -0.29
C 0.6404 3.2632 1.8200 -0.03
C 0.7971 1.9979 1.2862 0.00
C 0.5622 0.8821 2.0809 -0.22
C 0.1714 1.0591 3.4052 -0.03
C 0.0191 2.3294 3.9242 -0.05
H -0.2846 2.4489 4.9541 0.11
H -0.0133 0.1962 4.0309 0.11
N 0.6940 -0.4356 1.6116 0.13
C 1.0927 -0.8693 0.3886 -0.48
O 1.4161 -0.1612 -0.5369 0.09
C 1.0943 -2.4001 0.2899 -0.09
H 0.1586 -2.8092 0.6779 0.12
H 1.9050 -2.7809 0.9158 0.13
C 1.3608 -2.8653 -1.1339 -0.12
N 0.4128 -2.3976 -2.1341 0.02
C -0.7551 -1.8247 -1.8317 0.01
C -1.5982 -1.3565 -2.7995 -0.10
C -1.2223 -1.4712 -4.1605 0.00
C -0.0452 -2.0605 -4.4721 0.03
C 0.8478 -2.5761 -3.4668 -0.42
O 1.9038 -3.1398 -3.6758 0.06
H 0.2829 -2.1695 -5.4931 0.12
H -1.8817 -1.0872 -4.9240 0.13
C -2.9050 -0.7257 -2.4435 -0.59
F -3.1131 -0.6617 -1.1179 0.13
F -3.9546 -1.4020 -2.9531 0.13
F -3.0203 0.5293 -2.9086 0.14
H -1.0252 -1.7363 -0.7915 0.14
H 2.3417 -2.5036 -1.4607 0.14
H 1.3872 -3.9598 -1.1776 0.14
H 0.4747 -1.1396 2.3037 0.14
H 1.1014 1.8725 0.2612 0.10
H 0.8262 4.1227 1.1928 0.11
H 0.7483 5.5337 3.2296 0.08
H 0.2207 4.8415 4.7717 0.08
H -0.9543 5.1738 3.5008 0.08
```

The value obtained for the HOMO-LUMO gap is 8.96 eV. Its calculated total energy is -1178.3547 hartree. As for the net charge: 0. The HOMO energy comes out at -8.60 eV.



Entry 3:
Below is C26H40N10O8P2ReS as an isolated structure in a non-equilibrium geometry, with properties calculated with ωB97M-V/def2-TZVPD.

The geometry in XYZ format:
```
88
Properties=species:S:1:pos:R:3:lowdin_charge:R:1
Re 0.1206 0.3874 0.3498 1.45
S -0.0886 -0.1449 2.6419 0.76
C -1.3579 1.0565 2.9718 -0.74
N -1.6723 1.2612 4.2309 0.07
N -2.3902 2.3047 4.5921 0.04
C -2.5949 3.5121 3.9207 -0.25
C -1.5795 4.0970 3.1603 -0.03
C -1.8013 5.3090 2.5406 -0.06
C -3.0264 5.9468 2.6649 -0.08
C -4.0264 5.3806 3.4394 -0.08
C -3.8132 4.1712 4.0747 -0.03
N -1.9562 1.6572 1.9632 0.04
N -1.5728 1.4069 0.7357 -0.16
C -2.3945 2.0415 -0.2002 -0.24
C -3.6966 2.4352 0.1260 -0.01
C -4.4897 3.0558 -0.8196 -0.07
C -4.0049 3.2963 -2.0963 -0.07
C -2.7080 2.9261 -2.4175 -0.06
C -1.9083 2.3045 -1.4788 -0.03
H -2.7797 2.2169 5.5233 0.16
H -0.6159 3.6192 3.0760 0.12
H -1.0053 5.7579 1.9662 0.11
H -3.1970 6.8896 2.1675 0.10
H -4.9764 5.8827 3.5508 0.10
H -4.5899 3.7221 4.6782 0.11
H -4.0610 2.2483 1.1222 0.11
-- stop --
STILL MORE: Tom Maguire looks at who’s missing from the Times story:
In the course of emphasizing that the Eason Jordan lynching was engineered by a right wing mob, the Times somehow drops from this story (a) Howard Kurtz of the WaPo, who offers some relatively real coverage here; Rep. Barney Frank, D, MA, who made a cameo appearance in the audience in the Times’ Saturday story (yes, of course he was on the panel); and Sen. Chris Dodd, D, CT, who has now failed to appear in both of the stories offered by the Times, despite his expressions of outrage and calls for the release of the videotape. What does a Democrat from neighboring Connecticut need to do to break into the Times?
Read the whole thing for many other useful insights.